June 01, 2002: By the Salem Comic

-- Calculated crystals that have nothing to do with the piece --
<<<
(1)
CrH9C6S6O3: relaxed, PBE+U.

Values from the calculation:
The total magnetic moment comes out at 1.00 μB per formula unit. As for the crystal system: monoclinic.

Unit cell a=14.0702 b=9.7793 c=12.7553 alpha=59.92 beta=90.00 gamma=90.00
With the nearest neighbours (Å) after each atom.
Fractional positions:
Cr 0.9843 0.5908 0.2316  6 S 2.44-2.45
Cr 0.5157 0.5908 0.7316  6 S 2.44-2.45
Cr 0.0157 0.4092 0.7684  6 S 2.44-2.45
Cr 0.4843 0.4092 0.2684  6 S 2.44-2.45
H 0.0339 0.9386 0.3005  1 C 1.09
H 0.4661 0.9386 0.8005  1 C 1.09
H 0.9661 0.0614 0.6995  1 C 1.09
H 0.5339 0.0614 0.1995  1 C 1.09
H 0.0258 0.1238 0.1611  1 C 1.10
H 0.4742 0.1238 0.6611  1 C 1.10
H 0.9742 0.8762 0.8389  1 C 1.10
H 0.5258 0.8762 0.3389  1 C 1.10
H 0.1216 0.0906 0.2643  1 C 1.10
H 0.3784 0.0906 0.7643  1 C 1.10
H 0.8784 0.9094 0.7357  1 C 1.10
H 0.6216 0.9094 0.2357  1 C 1.10
H 0.6307 0.9577 0.9866  1 C 1.09
H 0.8693 0.9577 0.4866  1 C 1.09
H 0.3693 0.0423 0.0134  1 C 1.09
H 0.1307 0.0423 0.5134  1 C 1.09
H 0.7382 0.9289 0.9252  1 C 1.09
H 0.7618 0.9289 0.4252  1 C 1.09
H 0.2618 0.0711 0.0748  1 C 1.09
H 0.2382 0.0711 0.5748  1 C 1.09
H 0.6643 0.7616 0.0208  1 C 1.10
H 0.8357 0.7616 0.5208  1 C 1.10
H 0.3357 0.2384 0.9792  1 C 1.10
H 0.1643 0.2384 0.4792  1 C 1.10
H 0.3327 0.8287 0.3648  1 C 1.09
H 0.1673 0.8287 0.8648  1 C 1.09
H 0.6673 0.1713 0.6352  1 C 1.09
H 0.8327 0.1713 0.1352  1 C 1.09
H 0.3011 0.6272 0.4113  1 C 1.10
H 0.1989 0.6272 0.9113  1 C 1.10
H 0.6989 0.3728 0.5887  1 C 1.10
H 0.8011 0.3728 0.0887  1 C 1.10
H 0.2247 0.7459 0.4470  1 C 1.10
H 0.2753 0.7459 0.9470  1 C 1.10
H 0.7753 0.2541 0.5530  1 C 1.10
H 0.7247 0.2541 0.0530  1 C 1.10
C 0.0468 0.0657 0.2566  3 H 1.09-1.10
C 0.4532 0.0657 0.7566  3 H 1.09-1.10
C 0.9532 0.9343 0.7434  3 H 1.09-1.10
C 0.5468 0.9343 0.2434  3 H 1.09-1.10
C 0.6899 0.8772 0.0030  3 H 1.09-1.10
C 0.8101 0.8772 0.5030  3 H 1.09-1.10
C 0.3101 0.1228 0.9970  3 H 1.09-1.10
C 0.1899 0.1228 0.4970  3 H 1.09-1.10
C 0.2743 0.7469 0.3804  3 H 1.09-1.10
C 0.2257 0.7469 0.8804  3 H 1.09-1.10
C 0.7257 0.2531 0.6196  3 H 1.09-1.10
C 0.7743 0.2531 0.1196  3 H 1.09-1.10
C 0.9889 0.2731 0.2888  1 O 1.34
C 0.5111 0.2731 0.7888  1 O 1.34
C 0.0111 0.7269 0.7112  1 O 1.34
C 0.4889 0.7269 0.2112  1 O 1.34
C 0.8162 0.7693 0.1474  1 O 1.33
C 0.6838 0.7693 0.6474  1 O 1.33
C 0.1838 0.2307 0.8526  1 O 1.33
C 0.3162 0.2307 0.3526  1 O 1.33
C 0.1508 0.7325 0.2568  1 O 1.33
C 0.3492 0.7325 0.7568  1 O 1.33
C 0.8492 0.2675 0.7432  1 O 1.33
C 0.6508 0.2675 0.2432  1 O 1.33
S 0.0592 0.4087 0.1772  1 C 1.69
S 0.4408 0.4087 0.6772  1 C 1.69
S 0.9408 0.5913 0.8228  1 C 1.69
S 0.5592 0.5913 0.3228  1 C 1.69
S 0.9163 0.3306 0.3658  1 C 1.70
S 0.5837 0.3306 0.8658  1 C 1.70
S 0.0837 0.6694 0.6342  1 C 1.70
S 0.4163 0.6694 0.1342  1 C 1.70
S 0.8640 0.6825 0.0731  1 C 1.70
S 0.6360 0.6825 0.5731  1 C 1.70
S 0.1360 0.3175 0.9269  1 C 1.70
S 0.3640 0.3175 0.4269  1 C 1.70
S 0.8691 0.7418 0.2761  1 C 1.70
S 0.6309 0.7418 0.7761  1 C 1.70
>>>

Why do people continue to go to Green Mountain Lodge? Every time somebody goes there, something really bad happens. Abe and Lexie met Glen and Barb there. Austin saw Mike and Carrie kissing through the window there, then later they had an affair. You'd think somebody would notice a trend. Then again we're talking about Days.

I laughed out loud when Brady was at Java Café asking the present if Chloe would like it (the present), and that old guy saw him and asked his wife if “that kid” was on something.

Jan and Cynthia actually think they can get Shawn and Philip respectively to “make love to them”. HA! Nobody wants to make love to you, Jan. And as for you Cynthia, anybody who lays up with you might as well jump into an open grave because there's no telling who you've been with or what kind of hoochie disease YOU might have. Why don't you go put some clothes on and stop coming on to Philip? That's sexual harassment, and he DOESN'T have to take it!

SOOOO-EEE!!! Craig is hysterical. Sissy Mae Plunkett. Now you don't get much countrier than that. I know Operafreak felt stupid when she roasted Craig and Nancy for ruining her chances of getting into Julliard and then it turned out that they are reason she has a chance of auditioning. I'm glad that Nancy shut her up while she was ahead.

I hate Jan's mom. She did not have to talk to Hope the way she did. "A woman who doesn't even know who the father of her own child is telling ME how to raise MY daughter." Somebody should drop a house on her.

Lexie sank deeper into insanity when she threatened to sue the hospital. I'm glad Brandon and Craig roasted her for that. What was she thinking?! That would lead to an investigation of the Baby Switch and Lexie would therefore eventually be implicated and she would be screwed. However, Brandon also said that if Lexie sued the hospital, he would be called as a witness and he wouldn't lie. If he told the truth about everything he knows, then he would be in deep doo doo too. He is an accessory because he helped Lexie keep the Baby Switch a secret and he helped her rig JT's DNA test so nobody would know that Lexie had Hope's baby.

Shawn had the nerve to tell Belle that HE wanted the truth. WHAT THE %@#$!?! As I recall, Shawn, YOU are the one who's been lying FOR ALMOST A YEAR NOW. AND YOU'RE STILL LYING! YOU & JAN! Why do you treat Belle this way when you claim to LOVE her?! You should NEVER doubt that you can trust her, ESPECIALLY because of something JAN told you. That's why you got roasted. I HATE YOU, YOU STUPID B@$%*?#! YOU BETTER BE GLAD YOU'RE NOT REAL, OTHERWISE I'D BREAK MY FOOT OFF IN YOUR MOTHERF%#$@ING @$$!!!... SON-OF-A (BEEEEEEEEEEEEEEP)!!!

~~~
No. 1
{
  "formula": "V2P3O12",
  "functional": "GGA+U",
  "state": "relaxed",
  "mass_density_g_cm3": 2.96,
  "de_polymorph_ev_per_atom": 0.002,
  "dft_energy_ev_per_atom": -7.390,
  "formation_energy_ev_per_fu": -43.50,
  "magmom_total_mub_per_atom": 0.0588,
  "lattice_angstrom": [[8.5033, 0.0000, 0.0000], [0.0000, 8.5810, 0.0000], [-8.4041, 0.0000, 11.9072]],
  "species": ["V", "V", "V", "V", "V", "V", "V", "V", "P", "P", "P", "P", "P", "P", "P", "P", "P", "P", "P", "P", "O", "O", "O", "O", "O", "O", "O", "O", "O", "O", "O", "O", "O", "O", "O", "O", "O", "O", "O", "O", "O", "O", "O", "O", "O", "O", "O", "O", "O", "O", "O", "O", "O", "O", "O", "O", "O", "O", "O", "O", "O", "O", "O", "O", "O", "O", "O", "O"],
  "fractional_positions": [[0.1295, 0.0315, 0.3807], [0.1295, 0.4685, 0.8807], [0.3699, 0.0317, 0.1164], [0.3699, 0.4683, 0.6164], [0.6301, 0.5317, 0.3836], [0.6301, 0.9683, 0.8836], [0.8705, 0.5315, 0.1193], [0.8705, 0.9685, 0.6193], [0.0332, 0.6158, 0.6430], [0.0332, 0.8842, 0.1430], [0.2497, 0.1155, 0.6435], [0.2497, 0.3845, 0.1435], [0.4662, 0.7489, 0.9957], [0.4662, 0.7511, 0.4957], [0.5338, 0.2489, 0.5043], [0.5338, 0.2511, 0.0043], [0.7503, 0.6155, 0.8565], [0.7503, 0.8845, 0.3565], [0.9668, 0.1158, 0.8570], [0.9668, 0.3842, 0.3570], [0.0214, 0.7145, 0.1767], [0.0214, 0.7855, 0.6767], [0.0824, 0.5069, 0.7425], [0.0824, 0.9931, 0.2425], [0.0867, 0.0876, 0.6600], [0.0867, 0.4124, 0.1600], [0.1641, 0.0668, 0.9583], [0.1641, 0.4332, 0.4583], [0.1727, 0.0721, 0.5219], [0.1727, 0.4279, 0.0219], [0.1942, 0.6056, 0.6269], [0.1942, 0.8944, 0.1269], [0.2828, 0.6480, 0.9417], [0.2828, 0.8520, 0.4417], [0.2926, 0.2071, 0.1612], [0.2926, 0.2929, 0.6612], [0.3535, 0.1467, 0.4272], [0.3535, 0.3533, 0.9272], [0.4246, 0.0164, 0.7255], [0.4246, 0.4836, 0.2255], [0.4599, 0.6342, 0.5738], [0.4599, 0.8658, 0.0738], [0.4662, 0.6754, 0.4008], [0.4662, 0.8246, 0.9008], [0.5338, 0.1754, 0.0992], [0.5338, 0.3246, 0.5992], [0.5401, 0.1342, 0.9262], [0.5401, 0.3658, 0.4262], [0.5754, 0.5164, 0.7745], [0.5754, 0.9836, 0.2745], [0.6465, 0.6467, 0.0728], [0.6465, 0.8533, 0.5728], [0.7074, 0.7071, 0.3388], [0.7074, 0.7929, 0.8388], [0.7172, 0.1480, 0.5583], [0.7172, 0.3520, 0.0583], [0.8058, 0.1056, 0.8731], [0.8058, 0.3944, 0.3731], [0.8273, 0.5721, 0.9781], [0.8273, 0.9279, 0.4781], [0.8359, 0.5668, 0.5417], [0.8359, 0.9332, 0.0417], [0.9133, 0.5876, 0.8400], [0.9133, 0.9124, 0.3400], [0.9176, 0.0069, 0.7575], [0.9176, 0.4931, 0.2575], [0.9786, 0.2145, 0.3233], [0.9786, 0.2855, 0.8233]]
}

No. 2
{
  "formula": "MgTl3VO4",
  "functional": "GGA+U",
  "state": "relaxed",
  "mass_density_g_cm3": 6.46,
  "dft_energy_ev_per_atom": -5.183,
  "formation_energy_ev_per_fu": -13.53,
  "magmom_total_mub_per_atom": 0.0000,
  "lattice_angstrom": [[4.7727, -4.0376, 0.0000], [4.7727, 4.0376, 0.0000], [-3.4410, 0.0000, 5.0207]],
  "species": ["Mg", "Tl", "Tl", "Tl", "V", "O", "O", "O", "O"],
~~~


Bo and Hope asked Abe to be Zack's godfather. That was a really kind gesture. I wonder why they didn't ask Lexie to be Zack's godmother? Oh yeah, because she's a crazy b*tch!

I enjoyed. Lucas and Brady on Wednesday. When Sami asked Lucas why he was taking Will away for the weekend if he was going to take him away for the summer anyway, he said, "Because I feel like it!" After Sami said bye to Will and left, Lucas told Brady that he thought Sami was in a bad mood, and said it just breaks his heart and Brady pretended to wipe a tear from his eye. HAHAHA!!!

Jan's lie is slowly being exposed. Mimi did some good detective work to find out that Jan changed clothes after Belle left. Maybe it's just me, but if I fell and bust my @$$ twice in one day, I would probably stop raising hell. The thing I hate most about Jan is that she doesn't even care about Shawn. She just thinks she's in love with him because she can manipulate him and make a fool out of him. Everybody else is on to her. I hope she falls and busts her @$$ again.

I thought it was strange yet very appropriate that Brady gave Chloe a stuffed pig. I laughed out loud when he said that the pig sounds just like Chloe. It would have been even more appropriate if he had bought her a stuffed dog.

Isn't Jennifer lucky? She has not only one but TWO men stalking her (eyes rolling). Everywhere she goes she can be sure that Jack and Collin are somewhere lurking, watching her and eavesdropping on her conversations, trying to figure out where she's going and who she's going to be there with. Do they not know how scary that is? Somebody needs to tell these dudes that stalking is NOT sexy.

Lexie looked TOE UP on Thursday. Actually, she's been looking rough all week, but I've never seen her look as bad as she did on Thursday. She staggered into the living room looking like she was fresh off a crack binge.

Shawn had no business blowing up at Bo and Hope the way he did. Bo and Hope did NOT have to discuss their attempt to get Jan moved back in with her mother with him because it is THEIR house. They pay the bills. He doesn't. Shawn should be more understanding to the fact that Bo and Hope would like some time to bond with Zack without Jan around. Things are complicated enough for the Bradys without her. If he had any sense, he would want her gone too, because she is ruining his life. He has made so many STUPID decisions as a result of her influence.

Collin told Brandon that Nicole wasn't the type of woman to get involved with a married man when they both saw her at the bar with John at the Brady Pub. Brandon and I both gave him a look of disbelief after he said that. He obviously does NOT know Nicole that well.

Shawn has finally has accepted the fact that Zack is his brother and that he has been an ass to his family lately. Shawn's epiphany was LONG overdue.

The Salem PD is doing its best work at patrolling the church. That cop just LEFT THE CHURCH WHILE ON DUTY to show HoboBart to a mission. Even though that stupid cop left, there should have been more than one cop on patrol. Somebody should have seen Lexie coming into the church. Blech.

We FINALLY know who Hope's baby daddy is and the revelation thereof was in no way suspenseful. We already knew Bo was the father. This Who's the Daddy crap was dragged out WAY too long. I am SO glad it's over.

Here's where I put my two cents in.
You don't have to go home...